**Work order:**
Return the whole of the calculation results underneath without additions, please.

**Entries:**
<<<
Entry 1:
VASP calculation (PBE-GGA) on crystalline Ta6TeSe2 at its relaxed geometry.

Geometry as extended XYZ:
```
18
Lattice="2.405 7.253 0.000 -2.405 7.253 0.000 0.000 0.126 10.974" Properties=species:S:1:pos:R:3 pbc="T T T"
Ta 0.000 6.041 2.399
Ta 0.000 1.218 2.353
Ta 0.000 10.897 2.376
Ta 0.000 13.415 8.620
Ta 0.000 8.593 8.575
Ta 0.000 3.736 8.597
Ta 0.000 6.170 10.230
Ta 0.000 1.327 10.168
Ta 0.000 11.009 10.215
Ta 0.000 13.306 0.806
Ta 0.000 8.464 0.744
Ta 0.000 3.624 0.759
Te 0.000 1.315 6.973
Te 0.000 13.318 4.000
Se 0.000 11.018 7.369
Se 0.000 6.147 7.397
Se 0.000 8.487 3.577
Se 0.000 3.615 3.605
```

Space group: C2/m
MP2020-corrected energy in Ha/atom: -0.34944

---

Entry 2:
VASP calculation (PBE-GGA) on crystalline Cs2SiS6O21 at its relaxed geometry.

Geometry as extended XYZ:
```
180
Lattice="-13.332 1.682 -10.664 15.815 -2.102 -6.305 -1.556 -11.907 0.067" Properties=species:S:1:pos:R:3 pbc="T T T"
Cs -9.818 -3.832 -7.416
Cs 0.028 -5.106 -5.218
Cs -3.014 -4.763 -14.915
Cs 10.745 -8.495 -9.486
Cs 0.899 -7.221 -11.684
Cs 3.941 -7.564 -1.987
Cs 5.705 -11.992 -13.053
Cs -0.458 -11.146 -5.931
Cs 8.744 -12.339 -4.105
Cs -4.778 -0.335 -3.849
Cs 1.385 -1.180 -10.971
Cs -7.817 0.012 -12.797
Si -0.325 -2.490 0.014
Si -1.230 -9.416 0.053
Si 5.659 -4.211 -7.739
Si -4.732 -8.115 -9.163
Si -4.054 -2.927 -9.192
Si 4.981 -9.400 -7.710
S 3.919 -2.178 -14.560
S 1.037 -1.734 -2.621
S 12.732 -3.282 -6.066
S -2.992 -10.149 -2.342
S -0.109 -10.593 -14.281
S -11.805 -9.045 -10.836
S 1.914 -4.235 -14.159
S 1.926 -4.165 -1.312
S 12.952 -5.641 -7.738
S -0.987 -8.091 -2.743
S -0.999 -8.162 -15.590
S -12.025 -6.685 -9.164
S -6.941 -6.814 -7.475
S -1.978 -7.465 -7.972
S -4.890 -7.108 -12.059
S 7.868 -5.513 -9.427
S 2.905 -4.861 -8.930
S 5.817 -5.219 -4.843
S 6.658 -3.093 -10.470
S 3.063 -2.605 -7.117
S 7.742 -3.208 -5.651
S -5.731 -9.233 -6.432
S -2.136 -9.722 -9.785
S -6.815 -9.119 -11.251
S -3.886 -3.896 -6.288
S -1.834 -4.190 -10.889
S -6.812 -3.536 -10.384
S 4.814 -8.431 -10.614
S 2.761 -8.137 -6.013
S 7.740 -8.790 -6.518
S 7.492 -11.137 -8.223
S 3.006 -10.560 -9.793
S 3.903 -10.650 -5.091
S -6.565 -1.190 -8.679
S -2.078 -1.767 -7.109
S -2.976 -1.676 -11.811
O 4.996 -3.114 -14.679
O 0.238 -2.430 -3.586
O 12.146 -3.994 -4.970
O -4.069 -9.212 -2.223
O 0.689 -9.896 -13.316
O -11.219 -8.332 -11.932
O 3.202 -1.947 -15.879
O 0.292 -1.485 -1.322
O 14.250 -3.335 -6.049
O -2.275 -10.380 -1.023
O 0.636 -10.842 -15.580
O -13.323 -8.991 -10.853
O 4.126 -0.928 -13.895
O 1.756 -0.557 -3.002
O 12.297 -1.953 -6.372
O -3.198 -11.399 -3.007
O -0.829 -11.770 -13.900
O -11.370 -10.373 -10.530
O 1.535 -3.885 -15.590
O -12.384 -2.040 -10.898
O -1.386 -3.422 -1.085
O -0.607 -8.441 -1.312
O 13.311 -10.286 -6.004
O 2.313 -8.904 -15.817
O 2.820 -5.350 -14.100
O 1.326 -5.088 -2.236
O 12.262 -6.543 -6.857
O -1.892 -6.976 -2.802
O -0.399 -7.238 -14.666
O -11.335 -5.783 -10.045
O 2.715 -2.878 -13.642
O 2.257 -2.754 -2.118
O 12.383 -4.107 -7.473
O -1.788 -9.448 -3.260
O -1.330 -9.573 -14.784
O -11.456 -8.219 -9.429
O -6.256 -7.667 -6.224
O -1.399 -8.319 -9.275
O -6.450 -7.674 -11.993
O 7.183 -4.659 -10.678
O 2.327 -4.007 -7.627
O 7.378 -4.652 -4.909
O -5.846 -6.872 -8.529
O -3.413 -7.189 -8.393
O -4.514 -7.057 -10.585
O 6.773 -5.455 -8.373
O 4.340 -5.137 -8.509
O 5.441 -5.269 -6.317
O -7.028 -5.487 -6.940
O -1.216 -6.253 -8.027
O -5.059 -5.776 -12.560
O 7.955 -6.839 -9.962
O 2.143 -6.074 -8.875
O 5.986 -6.551 -4.342
O 5.853 -3.170 -9.183
O 4.534 -2.986 -7.076
O 7.003 -3.308 -6.976
O -4.926 -9.156 -7.719
O -3.607 -9.340 -9.826
O -6.076 -9.018 -9.926
O -8.134 -7.495 -7.882
O -1.895 -8.305 -6.813
O -4.101 -8.050 -12.796
O 9.061 -4.831 -9.020
O 2.823 -4.022 -10.089
O 5.028 -4.276 -4.106
O 7.805 -2.240 -10.321
O 2.815 -1.576 -8.088
O 7.230 -2.134 -4.845
O -6.878 -10.086 -6.581
O -1.888 -10.751 -8.814
O -6.303 -10.192 -12.057
O 5.805 -2.914 -11.604
O 2.531 -2.454 -5.797
O 9.156 -3.320 -5.838
O -4.877 -9.412 -5.298
O -1.604 -9.872 -11.105
O -8.229 -9.006 -11.064
>>>

**Result:**
Entry 1:
VASP calculation (PBE-GGA) on crystalline Ta6TeSe2 at its relaxed geometry.

Geometry as extended XYZ:
```
18
Lattice="2.405 7.253 0.000 -2.405 7.253 0.000 0.000 0.126 10.974" Properties=species:S:1:pos:R:3 pbc="T T T"
Ta 0.000 6.041 2.399
Ta 0.000 1.218 2.353
Ta 0.000 10.897 2.376
Ta 0.000 13.415 8.620
Ta 0.000 8.593 8.575
Ta 0.000 3.736 8.597
Ta 0.000 6.170 10.230
Ta 0.000 1.327 10.168
Ta 0.000 11.009 10.215
Ta 0.000 13.306 0.806
Ta 0.000 8.464 0.744
Ta 0.000 3.624 0.759
Te 0.000 1.315 6.973
Te 0.000 13.318 4.000
Se 0.000 11.018 7.369
Se 0.000 6.147 7.397
Se 0.000 8.487 3.577
Se 0.000 3.615 3.605
```

Space group: C2/m
MP2020-corrected energy in Ha/atom: -0.34944

---

Entry 2:
VASP calculation (PBE-GGA) on crystalline Cs2SiS6O21 at its relaxed geometry.

Geometry as extended XYZ:
```
180
Lattice="-13.332 1.682 -10.664 15.815 -2.102 -6.305 -1.556 -11.907 0.067" Properties=species:S:1:pos:R:3 pbc="T T T"
Cs -9.818 -3.832 -7.416
Cs 0.028 -5.106 -5.218
Cs -3.014 -4.763 -14.915
Cs 10.745 -8.495 -9.486
Cs 0.899 -7.221 -11.684
Cs 3.941 -7.564 -1.987
Cs 5.705 -11.992 -13.053
Cs -0.458 -11.146 -5.931
Cs 8.744 -12.339 -4.105
Cs -4.778 -0.335 -3.849
Cs 1.385 -1.180 -10.971
Cs -7.817 0.012 -12.797
Si -0.325 -2.490 0.014
Si -1.230 -9.416 0.053
Si 5.659 -4.211 -7.739
Si -4.732 -8.115 -9.163
Si -4.054 -2.927 -9.192
Si 4.981 -9.400 -7.710
S 3.919 -2.178 -14.560
S 1.037 -1.734 -2.621
S 12.732 -3.282 -6.066
S -2.992 -10.149 -2.342
S -0.109 -10.593 -14.281
S -11.805 -9.045 -10.836
S 1.914 -4.235 -14.159
S 1.926 -4.165 -1.312
S 12.952 -5.641 -7.738
S -0.987 -8.091 -2.743
S -0.999 -8.162 -15.590
S -12.025 -6.685 -9.164
S -6.941 -6.814 -7.475
S -1.978 -7.465 -7.972
S -4.890 -7.108 -12.059
S 7.868 -5.513 -9.427
S 2.905 -4.861 -8.930
S 5.817 -5.219 -4.843
S 6.658 -3.093 -10.470
S 3.063 -2.605 -7.117
S 7.742 -3.208 -5.651
S -5.731 -9.233 -6.432
S -2.136 -9.722 -9.785
S -6.815 -9.119 -11.251
S -3.886 -3.896 -6.288
S -1.834 -4.190 -10.889
S -6.812 -3.536 -10.384
S 4.814 -8.431 -10.614
S 2.761 -8.137 -6.013
S 7.740 -8.790 -6.518
S 7.492 -11.137 -8.223
S 3.006 -10.560 -9.793
S 3.903 -10.650 -5.091
S -6.565 -1.190 -8.679
S -2.078 -1.767 -7.109
S -2.976 -1.676 -11.811
O 4.996 -3.114 -14.679
O 0.238 -2.430 -3.586
O 12.146 -3.994 -4.970
O -4.069 -9.212 -2.223
O 0.689 -9.896 -13.316
O -11.219 -8.332 -11.932
O 3.202 -1.947 -15.879
O 0.292 -1.485 -1.322
O 14.250 -3.335 -6.049
O -2.275 -10.380 -1.023
O 0.636 -10.842 -15.580
O -13.323 -8.991 -10.853
O 4.126 -0.928 -13.895
O 1.756 -0.557 -3.002
O 12.297 -1.953 -6.372
O -3.198 -11.399 -3.007
O -0.829 -11.770 -13.900
O -11.370 -10.373 -10.530
O 1.535 -3.885 -15.590
O -12.384 -2.040 -10.898
O -1.386 -3.422 -1.085
O -0.607 -8.441 -1.312
O 13.311 -10.286 -6.004
O 2.313 -8.904 -15.817
O 2.820 -5.350 -14.100
O 1.326 -5.088 -2.236
O 12.262 -6.543 -6.857
O -1.892 -6.976 -2.802
O -0.399 -7.238 -14.666
O -11.335 -5.783 -10.045
O 2.715 -2.878 -13.642
O 2.257 -2.754 -2.118
O 12.383 -4.107 -7.473
O -1.788 -9.448 -3.260
O -1.330 -9.573 -14.784
O -11.456 -8.219 -9.429
O -6.256 -7.667 -6.224
O -1.399 -8.319 -9.275
O -6.450 -7.674 -11.993
O 7.183 -4.659 -10.678
O 2.327 -4.007 -7.627
O 7.378 -4.652 -4.909
O -5.846 -6.872 -8.529
O -3.413 -7.189 -8.393
O -4.514 -7.057 -10.585
O 6.773 -5.455 -8.373
O 4.340 -5.137 -8.509
O 5.441 -5.269 -6.317
O -7.028 -5.487 -6.940
O -1.216 -6.253 -8.027
O -5.059 -5.776 -12.560
O 7.955 -6.839 -9.962
O 2.143 -6.074 -8.875
O 5.986 -6.551 -4.342
O 5.853 -3.170 -9.183
O 4.534 -2.986 -7.076
O 7.003 -3.308 -6.976
O -4.926 -9.156 -7.719
O -3.607 -9.340 -9.826
O -6.076 -9.018 -9.926
O -8.134 -7.495 -7.882
O -1.895 -8.305 -6.813
O -4.101 -8.050 -12.796
O 9.061 -4.831 -9.020
O 2.823 -4.022 -10.089
O 5.028 -4.276 -4.106
O 7.805 -2.240 -10.321
O 2.815 -1.576 -8.088
O 7.230 -2.134 -4.845
O -6.878 -10.086 -6.581
O -1.888 -10.751 -8.814
O -6.303 -10.192 -12.057
O 5.805 -2.914 -11.604
O 2.531 -2.454 -5.797
O 9.156 -3.320 -5.838
O -4.877 -9.412 -5.298
O -1.604 -9.872 -11.105
O -8.229 -9.006 -11.064